Work order >
Your job: repeat the whole of the data further below word for word.
Given >
+++
Model i:
A structure of composition C9H11N2, computed with the ωB97M-V functional and the def2-TZVPD basis.

Values from the calculation:
E_LUMO = -0.126 Eh
Frontier orbital gap = 9.27 eV
Molecular weight = 147.20 g mol⁻¹
Total charge = +1
HOMO = -12.690 eV

Last column: Mulliken charge in e.
CARTESIAN COORDINATES (ANGSTROEM)
1 C -2.64999 -0.68422 0.12598  -0.42
2 C -2.68264 0.67418 -0.04619  -0.66
3 C -1.47668 -1.41842 0.20330  -0.50
4 C -1.43195 1.33222 -0.24064  -0.15
5 C -0.26925 -0.74099 0.04287  0.83
6 C -0.24117 0.64647 -0.15865  0.13
7 C 1.08130 -1.30480 0.06615  0.13
8 C 1.49213 -2.57910 -0.00672  -0.91
9 C 0.99179 1.33292 -0.42259  -0.01
10 N 1.20538 2.26609 0.51566  -0.44
11 N 2.10365 -0.17782 -0.13541  -0.35
12 H -3.60988 -1.27465 0.24892  0.33
13 H -3.59863 1.39276 -0.00553  0.32
14 H -1.34369 -2.55729 0.39034  0.17
15 H -1.39845 2.49157 -0.22817  0.31
16 H 2.63745 -2.69333 -0.12120  0.27
17 H 0.74622 -3.35110 0.15924  0.28
18 H 1.18038 1.50339 -1.45030  0.37
19 H 0.48624 2.36511 1.14680  0.29
20 H 1.56757 3.16398 0.23168  0.26
21 H 2.57511 -0.09945 0.72539  0.37
22 H 2.63510 -0.28749 -1.04090  0.37



Model ii:
The ion C9H11N2 with charge +1, computed with the ωB97M-V functional and the def2-TZVPD basis.

Values from the calculation:
E_LUMO = -0.164 Eh
Frontier orbital gap = 8.62 eV
Molecular weight = 147.20 g mol⁻¹
Total charge = +1
HOMO = -13.090 eV

Last column: Mulliken charge in e.
CARTESIAN COORDINATES (ANGSTROEM)
1 C -1.92254 1.32173 0.03429  -0.11
2 C -0.62394 2.09387 0.07636  -0.61
3 C -1.88286 0.19829 -0.66251  -0.79
4 C 1.80400 1.49115 0.68670  -0.48
5 C 2.35192 -0.33273 -0.62956  -0.06
6 C 0.51610 1.62663 0.52207  0.65
7 C -0.54576 -0.45748 -1.14382  -0.34
8 C 0.11407 -1.05703 0.00789  0.51
9 C -0.71399 -1.69494 1.04781  -1.64
10 N 2.54854 0.81367 -0.20824  -0.29
11 N 1.39228 -1.21589 -0.02605  -0.02
12 H -2.83495 1.88827 0.45750  0.36
13 H -0.79281 3.01886 -0.53324  0.32
14 H -2.85468 -0.17922 -0.77384  0.48
15 H 2.55031 1.94264 1.45407  0.33
16 H 2.97626 -0.92631 -1.44311  0.32
17 H -1.03796 -1.35589 -1.78827  0.28
18 H -0.09383 0.30526 -1.70433  0.56
19 H -0.27622 -1.51718 2.10955  0.38
20 H -0.72242 -2.70731 0.76862  0.45
21 H -1.67591 -1.36706 1.16219  0.45
22 H 1.72438 -1.88938 0.58591  0.26



The least stable of them is model ii.



Model i:
The ion C3H8NS with charge -1, computed with the ωB97M-V functional and the def2-TZVPD basis.

Values from the calculation:
E_LUMO = 0.157 Eh
Frontier orbital gap = 6.57 eV
Molecular weight = 90.17 g mol⁻¹
Total charge = -1
SMILES = C[C@@H](N)C[S-]
HOMO = -2.312 eV

Last column: Mulliken charge in e.
CARTESIAN COORDINATES (ANGSTROEM)
1 C -0.08316 0.87259 -1.02297  -1.08
2 C 0.25153 -0.48143 -0.31132  0.19
3 N 1.55218 -0.44876 0.32228  -0.60
4 C -1.04987 -0.62266 0.68327  -1.03
5 S -1.15374 0.72248 1.88190  -0.61
6 H 0.55786 1.09980 -1.94179  0.31
7 H -1.24107 1.06231 -1.09443  0.25
8 H 0.26271 1.70129 -0.23834  0.24
9 H 0.25895 -1.25279 -1.16398  0.19
10 H 1.41907 -0.77444 1.32304  0.24
11 H 2.22464 0.29647 0.46454  0.23
12 H -1.01503 -1.62713 1.03991  0.38
13 H -1.98407 -0.54774 0.05790  0.29



Model ii:
A cluster of 2 separate species, C3H8NS in total, computed with the ωB97M-V functional and the def2-TZVPD basis.

Values from the calculation:
E_LUMO = 0.138 Eh
Frontier orbital gap = 5.97 eV
Molecular weight = 90.17 g mol⁻¹
Total charge = -1
HOMO = -2.214 eV

Last column: Mulliken charge in e.
CARTESIAN COORDINATES (ANGSTROEM)
1 C -2.67970 0.32456 2.17430  -0.79
2 S -1.11766 0.79880 1.32038  -0.72
3 H -3.35101 -0.40769 1.67142  0.21
4 H -3.37681 1.20493 2.24307  0.17
5 H -2.47416 -0.03816 3.18397  0.18
6 C 2.23168 -1.64705 -2.12965  -0.74
7 C 1.08554 0.26972 -1.47806  -0.21
8 N 2.17921 -0.34770 -1.44712  -0.44
9 H 3.26164 -1.85077 -2.44349  0.27
10 H 1.85206 -2.44814 -1.50397  0.29
11 H 1.69051 -1.54822 -3.08533  0.29
12 H 0.87152 1.28141 -1.13166  0.27
13 H 0.09076 -0.20333 -1.62453  0.24



Model iii:
+++
Done >
Model i:
A structure of composition C9H11N2, computed with the ωB97M-V functional and the def2-TZVPD basis.

Values from the calculation:
E_LUMO = -0.126 Eh
Frontier orbital gap = 9.27 eV
Molecular weight = 147.20 g mol⁻¹
Total charge = +1
HOMO = -12.690 eV

Last column: Mulliken charge in e.
CARTESIAN COORDINATES (ANGSTROEM)
1 C -2.64999 -0.68422 0.12598  -0.42
2 C -2.68264 0.67418 -0.04619  -0.66
3 C -1.47668 -1.41842 0.20330  -0.50
4 C -1.43195 1.33222 -0.24064  -0.15
5 C -0.26925 -0.74099 0.04287  0.83
6 C -0.24117 0.64647 -0.15865  0.13
7 C 1.08130 -1.30480 0.06615  0.13
8 C 1.49213 -2.57910 -0.00672  -0.91
9 C 0.99179 1.33292 -0.42259  -0.01
10 N 1.20538 2.26609 0.51566  -0.44
11 N 2.10365 -0.17782 -0.13541  -0.35
12 H -3.60988 -1.27465 0.24892  0.33
13 H -3.59863 1.39276 -0.00553  0.32
14 H -1.34369 -2.55729 0.39034  0.17
15 H -1.39845 2.49157 -0.22817  0.31
16 H 2.63745 -2.69333 -0.12120  0.27
17 H 0.74622 -3.35110 0.15924  0.28
18 H 1.18038 1.50339 -1.45030  0.37
19 H 0.48624 2.36511 1.14680  0.29
20 H 1.56757 3.16398 0.23168  0.26
21 H 2.57511 -0.09945 0.72539  0.37
22 H 2.63510 -0.28749 -1.04090  0.37



Model ii:
The ion C9H11N2 with charge +1, computed with the ωB97M-V functional and the def2-TZVPD basis.

Values from the calculation:
E_LUMO = -0.164 Eh
Frontier orbital gap = 8.62 eV
Molecular weight = 147.20 g mol⁻¹
Total charge = +1
HOMO = -13.090 eV

Last column: Mulliken charge in e.
CARTESIAN COORDINATES (ANGSTROEM)
1 C -1.92254 1.32173 0.03429  -0.11
2 C -0.62394 2.09387 0.07636  -0.61
3 C -1.88286 0.19829 -0.66251  -0.79
4 C 1.80400 1.49115 0.68670  -0.48
5 C 2.35192 -0.33273 -0.62956  -0.06
6 C 0.51610 1.62663 0.52207  0.65
7 C -0.54576 -0.45748 -1.14382  -0.34
8 C 0.11407 -1.05703 0.00789  0.51
9 C -0.71399 -1.69494 1.04781  -1.64
10 N 2.54854 0.81367 -0.20824  -0.29
11 N 1.39228 -1.21589 -0.02605  -0.02
12 H -2.83495 1.88827 0.45750  0.36
13 H -0.79281 3.01886 -0.53324  0.32
14 H -2.85468 -0.17922 -0.77384  0.48
15 H 2.55031 1.94264 1.45407  0.33
16 H 2.97626 -0.92631 -1.44311  0.32
17 H -1.03796 -1.35589 -1.78827  0.28
18 H -0.09383 0.30526 -1.70433  0.56
19 H -0.27622 -1.51718 2.10955  0.38
20 H -0.72242 -2.70731 0.76862  0.45
21 H -1.67591 -1.36706 1.16219  0.45
22 H 1.72438 -1.88938 0.58591  0.26



The least stable of them is model ii.



Model i:
The ion C3H8NS with charge -1, computed with the ωB97M-V functional and the def2-TZVPD basis.

Values from the calculation:
E_LUMO = 0.157 Eh
Frontier orbital gap = 6.57 eV
Molecular weight = 90.17 g mol⁻¹
Total charge = -1
SMILES = C[C@@H](N)C[S-]
HOMO = -2.312 eV

Last column: Mulliken charge in e.
CARTESIAN COORDINATES (ANGSTROEM)
1 C -0.08316 0.87259 -1.02297  -1.08
2 C 0.25153 -0.48143 -0.31132  0.19
3 N 1.55218 -0.44876 0.32228  -0.60
4 C -1.04987 -0.62266 0.68327  -1.03
5 S -1.15374 0.72248 1.88190  -0.61
6 H 0.55786 1.09980 -1.94179  0.31
7 H -1.24107 1.06231 -1.09443  0.25
8 H 0.26271 1.70129 -0.23834  0.24
9 H 0.25895 -1.25279 -1.16398  0.19
10 H 1.41907 -0.77444 1.32304  0.24
11 H 2.22464 0.29647 0.46454  0.23
12 H -1.01503 -1.62713 1.03991  0.38
13 H -1.98407 -0.54774 0.05790  0.29



Model ii:
A cluster of 2 separate species, C3H8NS in total, computed with the ωB97M-V functional and the def2-TZVPD basis.

Values from the calculation:
E_LUMO = 0.138 Eh
Frontier orbital gap = 5.97 eV
Molecular weight = 90.17 g mol⁻¹
Total charge = -1
HOMO = -2.214 eV

Last column: Mulliken charge in e.
CARTESIAN COORDINATES (ANGSTROEM)
1 C -2.67970 0.32456 2.17430  -0.79
2 S -1.11766 0.79880 1.32038  -0.72
3 H -3.35101 -0.40769 1.67142  0.21
4 H -3.37681 1.20493 2.24307  0.17
5 H -2.47416 -0.03816 3.18397  0.18
6 C 2.23168 -1.64705 -2.12965  -0.74
7 C 1.08554 0.26972 -1.47806  -0.21
8 N 2.17921 -0.34770 -1.44712  -0.44
9 H 3.26164 -1.85077 -2.44349  0.27
10 H 1.85206 -2.44814 -1.50397  0.29
11 H 1.69051 -1.54822 -3.08533  0.29
12 H 0.87152 1.28141 -1.13166  0.27
13 H 0.09076 -0.20333 -1.62453  0.24



Model iii: